• Exercise:
Could you set down the contents underneath verbatim?
• Source:
- - -
Compound: WSe2F
Source: Alexandria
Functional: GGA+U
Structure: optimized geometry

Results
Size of the total moment = 2.079 Bohr magnetons per cell
VASP energy = -0.1618 hartree per atom

a b c (Å): 4.524 4.524 4.524
angles (deg): 60.00 60.00 60.00
Site moments in Bohr magnetons follow the coordinates.
Sites, in units of the cell vectors:
W  0.500  0.500  0.500  2.08
F  0.000  0.000  0.000  0.04
Se  0.750  0.750  0.750  -0.10
Se  0.250  0.250  0.250  -0.10


1.
{"formula": "PmBeCo", "functional": "PBE-GGA", "state": "optimized geometry", "lattice": [[-2.743, -1.456, 2.517], [-0.372, -3.256, -2.289], [4.817, -3.015, 3.505]], "species": ["Pm", "Pm", "Be", "Be", "Co", "Co"], "fractional_positions": [[0.750, 0.750, 0.306], [0.250, 0.250, 0.694], [0.250, 0.250, 0.138], [0.750, 0.750, 0.862], [0.250, 0.750, 0.000], [0.750, 0.250, 0.000]], "e_above_lowest_polymorph_mev_per_atom": 0, "n_ef_per_ev_atom": 0.8957, "formation_enthalpy_0k_ev_per_atom": -0.1489, "magmom_total_mub_per_atom": 0.0000}

***

2.
{"formula": "TbPmNd2Dy5", "functional": "PBE-GGA", "state": "optimized geometry", "lattice": [[-1.399, -4.889, 7.069], [2.088, -7.141, -4.525], [7.136, 6.884, 0.810]], "species": ["Tb", "Tb", "Pm", "Pm", "Nd", "Nd", "Nd", "Nd", "Dy", "Dy", "Dy", "Dy", "Dy", "Dy", "Dy", "Dy", "Dy", "Dy"], "fractional_positions": [[0.250, 0.750, 0.500], [0.750, 0.250, 0.500], [0.250, 0.250, 0.500], [0.750, 0.750, 0.500], [0.118, 0.382, 0.000], [0.618, 0.118, 0.000], [0.382, 0.882, 0.000], [0.882, 0.618, 0.000], [0.928, 0.428, 0.277], [0.651, 0.151, 0.723], [0.072, 0.572, 0.723], [0.151, 0.072, 0.723], [0.572, 0.651, 0.723], [0.849, 0.928, 0.277], [0.428, 0.349, 0.277], [0.349, 0.849, 0.277], [0.500, 0.500, 0.000], [0.000, 0.000, 0.000]], "n_ef_per_ev_atom": 1.1407, "formation_enthalpy_0k_ev_per_atom": 0.2632, "magmom_total_mub_per_atom": 0.0000}

***

3.
{"formula": "AgSbBr3", "functional": "PBE-GGA", "state": "optimized geometry", "lattice": [[7.903, -0.153, -0.147], [2.285, 9.326, 1.738], [2.285, 2.070, 9.259]], "species": ["Ag", "Ag", "Ag", "Ag", "Sb", "Sb", "Sb", "Sb", "Br", "Br", "Br", "Br", "Br", "Br", "Br", "Br", "Br", "Br", "Br", "Br"], "fractional_positions": [[0.750, 0.351, 0.649], [0.250, 0.056, 0.944], [0.750, 0.944, 0.056], [0.250, 0.649, 0.351], [0.860, 0.408, 0.107], [0.360, 0.107, 0.408], [0.640, 0.893, 0.592], [0.140, 0.592, 0.893], [0.444, 0.359, 0.415], [0.584, 0.088, 0.781], [0.944, 0.415, 0.359], [0.056, 0.585, 0.641], [0.856, 0.990, 0.342], [0.084, 0.781, 0.088], [0.556, 0.641, 0.585], [0.916, 0.219, 0.912], [0.416, 0.912, 0.219], [0.356, 0.342, 0.990], [0.144, 0.010, 0.658], [0.644, 0.658, 0.010]], "e_above_lowest_polymorph_mev_per_atom": 0, "raw_formation_energy_ev_per_fu": -1.8, "magmom_total_mub_per_atom": 0.0000}

***

4.
{"formula": "HgTe2O4", "functional": "PBE-GGA", "state": "optimized geometry", "lattice": [[8.244, 0.313, 0.035], [-0.300, 9.432, -0.036], [-3.745, -5.034, 4.513]], "species": ["Hg", "Hg", "Te", "Te", "Te", "Te", "O", "O", "O", "O", "O", "O", "O", "O"], "fractional_positions": [[0.201, 0.984, 0.729], [0.467, 0.488, 0.413], [0.660, 0.353, 0.786], [0.618, 0.893, 0.360], [0.789, 0.327, 0.243], [0.211, 0.446, 0.759], [0.042, 0.291, 0.329], [0.383, 0.724, 0.245], [0.975, 0.535, 0.677], [0.714, 0.153, 0.795], [0.562, 0.095, 0.364], [0.387, 0.270, 0.663], [0.430, 0.664, 0.903], [0.812, 0.526, 0.235]], "raw_formation_energy_ev_per_fu": -5.4, "n_ef_per_ev_atom": 0.0000, "magmom_total_mub_per_atom": 0.0000}

***

5.
{"formula": "LiZr2Pb", "functional": "PBE-GGA", "state": "optimized geometry", "lattice": [[3.324, 0.000, 0.000], [0.000, 4.246, 0.000], [0.000, 0.000, 6.109]], "species": ["Li", "Pb", "Zr", "Zr"], "fractional_positions": [[0.500, 0.500, 0.250], [0.500, 0.500, 0.750], [0.000, 0.000, 0.010], [0.000, 0.000, 0.490]], "n_ef_per_ev_atom": 0.4966, "formation_enthalpy_0k_ev_per_atom": -0.0056, "magmom_total_mub_per_atom": 0.0000}

***

6.
- - -
• Worked solution:
Compound: WSe2F
Source: Alexandria
Functional: GGA+U
Structure: optimized geometry

Results
Size of the total moment = 2.079 Bohr magnetons per cell
VASP energy = -0.1618 hartree per atom

a b c (Å): 4.524 4.524 4.524
angles (deg): 60.00 60.00 60.00
Site moments in Bohr magnetons follow the coordinates.
Sites, in units of the cell vectors:
W  0.500  0.500  0.500  2.08
F  0.000  0.000  0.000  0.04
Se  0.750  0.750  0.750  -0.10
Se  0.250  0.250  0.250  -0.10


1.
{"formula": "PmBeCo", "functional": "PBE-GGA", "state": "optimized geometry", "lattice": [[-2.743, -1.456, 2.517], [-0.372, -3.256, -2.289], [4.817, -3.015, 3.505]], "species": ["Pm", "Pm", "Be", "Be", "Co", "Co"], "fractional_positions": [[0.750, 0.750, 0.306], [0.250, 0.250, 0.694], [0.250, 0.250, 0.138], [0.750, 0.750, 0.862], [0.250, 0.750, 0.000], [0.750, 0.250, 0.000]], "e_above_lowest_polymorph_mev_per_atom": 0, "n_ef_per_ev_atom": 0.8957, "formation_enthalpy_0k_ev_per_atom": -0.1489, "magmom_total_mub_per_atom": 0.0000}

***

2.
{"formula": "TbPmNd2Dy5", "functional": "PBE-GGA", "state": "optimized geometry", "lattice": [[-1.399, -4.889, 7.069], [2.088, -7.141, -4.525], [7.136, 6.884, 0.810]], "species": ["Tb", "Tb", "Pm", "Pm", "Nd", "Nd", "Nd", "Nd", "Dy", "Dy", "Dy", "Dy", "Dy", "Dy", "Dy", "Dy", "Dy", "Dy"], "fractional_positions": [[0.250, 0.750, 0.500], [0.750, 0.250, 0.500], [0.250, 0.250, 0.500], [0.750, 0.750, 0.500], [0.118, 0.382, 0.000], [0.618, 0.118, 0.000], [0.382, 0.882, 0.000], [0.882, 0.618, 0.000], [0.928, 0.428, 0.277], [0.651, 0.151, 0.723], [0.072, 0.572, 0.723], [0.151, 0.072, 0.723], [0.572, 0.651, 0.723], [0.849, 0.928, 0.277], [0.428, 0.349, 0.277], [0.349, 0.849, 0.277], [0.500, 0.500, 0.000], [0.000, 0.000, 0.000]], "n_ef_per_ev_atom": 1.1407, "formation_enthalpy_0k_ev_per_atom": 0.2632, "magmom_total_mub_per_atom": 0.0000}

***

3.
{"formula": "AgSbBr3", "functional": "PBE-GGA", "state": "optimized geometry", "lattice": [[7.903, -0.153, -0.147], [2.285, 9.326, 1.738], [2.285, 2.070, 9.259]], "species": ["Ag", "Ag", "Ag", "Ag", "Sb", "Sb", "Sb", "Sb", "Br", "Br", "Br", "Br", "Br", "Br", "Br", "Br", "Br", "Br", "Br", "Br"], "fractional_positions": [[0.750, 0.351, 0.649], [0.250, 0.056, 0.944], [0.750, 0.944, 0.056], [0.250, 0.649, 0.351], [0.860, 0.408, 0.107], [0.360, 0.107, 0.408], [0.640, 0.893, 0.592], [0.140, 0.592, 0.893], [0.444, 0.359, 0.415], [0.584, 0.088, 0.781], [0.944, 0.415, 0.359], [0.056, 0.585, 0.641], [0.856, 0.990, 0.342], [0.084, 0.781, 0.088], [0.556, 0.641, 0.585], [0.916, 0.219, 0.912], [0.416, 0.912, 0.219], [0.356, 0.342, 0.990], [0.144, 0.010, 0.658], [0.644, 0.658, 0.010]], "e_above_lowest_polymorph_mev_per_atom": 0, "raw_formation_energy_ev_per_fu": -1.8, "magmom_total_mub_per_atom": 0.0000}

***

4.
{"formula": "HgTe2O4", "functional": "PBE-GGA", "state": "optimized geometry", "lattice": [[8.244, 0.313, 0.035], [-0.300, 9.432, -0.036], [-3.745, -5.034, 4.513]], "species": ["Hg", "Hg", "Te", "Te", "Te", "Te", "O", "O", "O", "O", "O", "O", "O", "O"], "fractional_positions": [[0.201, 0.984, 0.729], [0.467, 0.488, 0.413], [0.660, 0.353, 0.786], [0.618, 0.893, 0.360], [0.789, 0.327, 0.243], [0.211, 0.446, 0.759], [0.042, 0.291, 0.329], [0.383, 0.724, 0.245], [0.975, 0.535, 0.677], [0.714, 0.153, 0.795], [0.562, 0.095, 0.364], [0.387, 0.270, 0.663], [0.430, 0.664, 0.903], [0.812, 0.526, 0.235]], "raw_formation_energy_ev_per_fu": -5.4, "n_ef_per_ev_atom": 0.0000, "magmom_total_mub_per_atom": 0.0000}

***

5.
{"formula": "LiZr2Pb", "functional": "PBE-GGA", "state": "optimized geometry", "lattice": [[3.324, 0.000, 0.000], [0.000, 4.246, 0.000], [0.000, 0.000, 6.109]], "species": ["Li", "Pb", "Zr", "Zr"], "fractional_positions": [[0.500, 0.500, 0.250], [0.500, 0.500, 0.750], [0.000, 0.000, 0.010], [0.000, 0.000, 0.490]], "n_ef_per_ev_atom": 0.4966, "formation_enthalpy_0k_ev_per_atom": -0.0056, "magmom_total_mub_per_atom": 0.0000}

***

6.